• To do:
Could you type out all of the rows further below character by character?

• Given:
=====
Computed powder diffractogram of SrLa3Ti2Co2O12 for a wavelength of 1.5418 Å, from the PBE+U geometry in Alexandria.
Peak positions follow from Bragg's law for the DFT cell and can differ from measured ones.

Cell: 5.530 5.530 7.698 Å, 90.00 90.00 90.00°
Sites, in units of the cell vectors:
Sr (0.000, 0.000, 0.000)
La (0.000, 0.000, 0.500)
La (0.500, 0.500, 0.000)
La (0.500, 0.500, 0.500)
Ti (0.000, 0.500, 0.247)
Ti (0.500, 0.000, 0.753)
Co (0.000, 0.500, 0.749)
Co (0.500, 0.000, 0.251)
O (0.000, 0.500, 0.503)
O (0.000, 0.500, 0.998)
O (0.252, 0.255, 0.256)
O (0.252, 0.745, 0.256)
O (0.255, 0.252, 0.744)
O (0.255, 0.748, 0.744)
O (0.500, 0.000, 0.002)
O (0.500, 0.000, 0.497)
O (0.745, 0.252, 0.744)
O (0.745, 0.748, 0.744)
O (0.748, 0.255, 0.256)
O (0.748, 0.745, 0.256)

Largest 10 diffraction maxima, most intense first, 2θ from 5° to 70°:
2θ 32.65, I = 100
2θ 32.38, I = 51
2θ 57.92, I = 39
2θ 46.45, I = 35
2θ 40.16, I = 30
2θ 68.40, I = 20
2θ 58.43, I = 19
2θ 47.23, I = 17
2θ 22.74, I = 12
2θ 67.79, I = 10



Computed powder diffractogram of La2Ti3CoO10 for a wavelength of 1.5418 Å, from the PBE+U geometry in Alexandria.
Peak positions follow from Bragg's law for the DFT cell and can differ from measured ones.

Cell: 13.889 13.889 13.889 Å, 164.14 164.14 22.51°
Sites, in units of the cell vectors:
La (0.080, 0.080, 0.000)
La (0.920, 0.920, 0.000)
Ti (0.342, 0.342, 0.000)
Ti (0.500, 0.500, 0.000)
Ti (0.658, 0.658, 0.000)
Co (0.750, 0.250, 0.500)
O (0.000, 0.500, 0.500)
O (0.141, 0.641, 0.500)
O (0.275, 0.275, 0.000)
O (0.359, 0.859, 0.500)
O (0.428, 0.428, 0.000)
O (0.500, 0.000, 0.500)
O (0.572, 0.572, 0.000)
O (0.642, 0.142, 0.500)
O (0.725, 0.725, 0.000)
O (0.858, 0.358, 0.500)

Largest 10 diffraction maxima, most intense first, 2θ from 5° to 70°:
2θ 28.47, I = 100
2θ 6.49, I = 75
2θ 32.79, I = 75
2θ 47.43, I = 51
2θ 33.05, I = 37
2θ 42.63, I = 29
2θ 58.86, I = 28
2θ 56.25, I = 28
2θ 39.70, I = 24
2θ 23.43, I = 24



Computed powder diffractogram of LaUCo2O8 for a wavelength of 1.5418 Å, from the PBE+U geometry in Alexandria.
Peak positions follow from Bragg's law for the DFT cell and can differ from measured ones.

Cell: 6.006 6.006 6.006 Å, 107.33 107.33 113.84°
Sites, in units of the cell vectors:
La (0.000, 0.000, 0.000)
U (0.250, 0.750, 0.500)
Co (0.500, 0.500, 0.000)
Co (0.750, 0.250, 0.500)
O (0.321, 0.117, 0.795)
O (0.321, 0.526, 0.205)
O (0.388, 0.056, 0.333)
O (0.474, 0.679, 0.795)
O (0.723, 0.056, 0.667)
O (0.883, 0.679, 0.205)
O (0.944, 0.277, 0.333)
O (0.944, 0.612, 0.667)

Largest 10 diffraction maxima, most intense first, 2θ from 5° to 70°:
2θ 25.02, I = 100
2θ 32.60, I = 79
2θ 49.10, I = 63
2θ 18.40, I = 51
2θ 35.68, I = 24
2θ 62.16, I = 18
2θ 31.24, I = 17
2θ 51.35, I = 16
2θ 57.95, I = 15
2θ 62.37, I = 14



Computed powder diffractogram of La2VCoO6 for a wavelength of 1.5418 Å, from the PBE+U geometry in Alexandria.
Peak positions follow from Bragg's law for the DFT cell and can differ from measured ones.

Cell: 5.549 5.679 9.638 Å, 90.00 124.60 90.00°
Sites, in units of the cell vectors:
La (0.241, 0.047, 0.249)
La (0.241, 0.453, 0.749)
La (0.759, 0.547, 0.251)
La (0.759, 0.953, 0.751)
V (0.000, 0.000, 0.500)
V (0.000, 0.500, 0.000)
Co (0.500, 0.000, 0.000)
Co (0.500, 0.500, 0.500)
O (0.152, 0.214, 0.952)
O (0.152, 0.286, 0.452)
O (0.235, 0.693, 0.959)
O (0.235, 0.807, 0.459)
O (0.329, 0.025, 0.744)
O (0.329, 0.475, 0.244)
O (0.671, 0.525, 0.756)
O (0.671, 0.975, 0.256)
O (0.765, 0.193, 0.541)
O (0.765, 0.307, 0.041)
O (0.848, 0.714, 0.548)
O (0.848, 0.786, 0.048)

Largest 10 diffraction maxima, most intense first, 2θ from 5° to 70°:
2θ 31.78, I = 100
2θ 32.01, I = 98
2θ 45.73, I = 78
2θ 32.26, I = 48
2θ 22.40, I = 48
2θ 31.51, I = 44
2θ 57.52, I = 23
2θ 57.09, I = 22
2θ 52.35, I = 21
2θ 66.94, I = 19



Computed powder diffractogram of La2ZnCoO6 for a wavelength of 1.5418 Å, from the PBE+U geometry in Alexandria.
Peak positions follow from Bragg's law for the DFT cell and can differ from measured ones.
=====

• Done:
Computed powder diffractogram of SrLa3Ti2Co2O12 for a wavelength of 1.5418 Å, from the PBE+U geometry in Alexandria.
Peak positions follow from Bragg's law for the DFT cell and can differ from measured ones.

Cell: 5.530 5.530 7.698 Å, 90.00 90.00 90.00°
Sites, in units of the cell vectors:
Sr (0.000, 0.000, 0.000)
La (0.000, 0.000, 0.500)
La (0.500, 0.500, 0.000)
La (0.500, 0.500, 0.500)
Ti (0.000, 0.500, 0.247)
Ti (0.500, 0.000, 0.753)
Co (0.000, 0.500, 0.749)
Co (0.500, 0.000, 0.251)
O (0.000, 0.500, 0.503)
O (0.000, 0.500, 0.998)
O (0.252, 0.255, 0.256)
O (0.252, 0.745, 0.256)
O (0.255, 0.252, 0.744)
O (0.255, 0.748, 0.744)
O (0.500, 0.000, 0.002)
O (0.500, 0.000, 0.497)
O (0.745, 0.252, 0.744)
O (0.745, 0.748, 0.744)
O (0.748, 0.255, 0.256)
O (0.748, 0.745, 0.256)

Largest 10 diffraction maxima, most intense first, 2θ from 5° to 70°:
2θ 32.65, I = 100
2θ 32.38, I = 51
2θ 57.92, I = 39
2θ 46.45, I = 35
2θ 40.16, I = 30
2θ 68.40, I = 20
2θ 58.43, I = 19
2θ 47.23, I = 17
2θ 22.74, I = 12
2θ 67.79, I = 10



Computed powder diffractogram of La2Ti3CoO10 for a wavelength of 1.5418 Å, from the PBE+U geometry in Alexandria.
Peak positions follow from Bragg's law for the DFT cell and can differ from measured ones.

Cell: 13.889 13.889 13.889 Å, 164.14 164.14 22.51°
Sites, in units of the cell vectors:
La (0.080, 0.080, 0.000)
La (0.920, 0.920, 0.000)
Ti (0.342, 0.342, 0.000)
Ti (0.500, 0.500, 0.000)
Ti (0.658, 0.658, 0.000)
Co (0.750, 0.250, 0.500)
O (0.000, 0.500, 0.500)
O (0.141, 0.641, 0.500)
O (0.275, 0.275, 0.000)
O (0.359, 0.859, 0.500)
O (0.428, 0.428, 0.000)
O (0.500, 0.000, 0.500)
O (0.572, 0.572, 0.000)
O (0.642, 0.142, 0.500)
O (0.725, 0.725, 0.000)
O (0.858, 0.358, 0.500)

Largest 10 diffraction maxima, most intense first, 2θ from 5° to 70°:
2θ 28.47, I = 100
2θ 6.49, I = 75
2θ 32.79, I = 75
2θ 47.43, I = 51
2θ 33.05, I = 37
2θ 42.63, I = 29
2θ 58.86, I = 28
2θ 56.25, I = 28
2θ 39.70, I = 24
2θ 23.43, I = 24



Computed powder diffractogram of LaUCo2O8 for a wavelength of 1.5418 Å, from the PBE+U geometry in Alexandria.
Peak positions follow from Bragg's law for the DFT cell and can differ from measured ones.

Cell: 6.006 6.006 6.006 Å, 107.33 107.33 113.84°
Sites, in units of the cell vectors:
La (0.000, 0.000, 0.000)
U (0.250, 0.750, 0.500)
Co (0.500, 0.500, 0.000)
Co (0.750, 0.250, 0.500)
O (0.321, 0.117, 0.795)
O (0.321, 0.526, 0.205)
O (0.388, 0.056, 0.333)
O (0.474, 0.679, 0.795)
O (0.723, 0.056, 0.667)
O (0.883, 0.679, 0.205)
O (0.944, 0.277, 0.333)
O (0.944, 0.612, 0.667)

Largest 10 diffraction maxima, most intense first, 2θ from 5° to 70°:
2θ 25.02, I = 100
2θ 32.60, I = 79
2θ 49.10, I = 63
2θ 18.40, I = 51
2θ 35.68, I = 24
2θ 62.16, I = 18
2θ 31.24, I = 17
2θ 51.35, I = 16
2θ 57.95, I = 15
2θ 62.37, I = 14



Computed powder diffractogram of La2VCoO6 for a wavelength of 1.5418 Å, from the PBE+U geometry in Alexandria.
Peak positions follow from Bragg's law for the DFT cell and can differ from measured ones.

Cell: 5.549 5.679 9.638 Å, 90.00 124.60 90.00°
Sites, in units of the cell vectors:
La (0.241, 0.047, 0.249)
La (0.241, 0.453, 0.749)
La (0.759, 0.547, 0.251)
La (0.759, 0.953, 0.751)
V (0.000, 0.000, 0.500)
V (0.000, 0.500, 0.000)
Co (0.500, 0.000, 0.000)
Co (0.500, 0.500, 0.500)
O (0.152, 0.214, 0.952)
O (0.152, 0.286, 0.452)
O (0.235, 0.693, 0.959)
O (0.235, 0.807, 0.459)
O (0.329, 0.025, 0.744)
O (0.329, 0.475, 0.244)
O (0.671, 0.525, 0.756)
O (0.671, 0.975, 0.256)
O (0.765, 0.193, 0.541)
O (0.765, 0.307, 0.041)
O (0.848, 0.714, 0.548)
O (0.848, 0.786, 0.048)

Largest 10 diffraction maxima, most intense first, 2θ from 5° to 70°:
2θ 31.78, I = 100
2θ 32.01, I = 98
2θ 45.73, I = 78
2θ 32.26, I = 48
2θ 22.40, I = 48
2θ 31.51, I = 44
2θ 57.52, I = 23
2θ 57.09, I = 22
2θ 52.35, I = 21
2θ 66.94, I = 19



Computed powder diffractogram of La2ZnCoO6 for a wavelength of 1.5418 Å, from the PBE+U geometry in Alexandria.
Peak positions follow from Bragg's law for the DFT cell and can differ from measured ones.